[Lexington Minuteman] Chinese American major general tells his family’s story in Lexington program

Retired Major General William Chen, the first two-star general in the U.S. Army of Chinese descent, gave a presentation on the legacy of Chinese Americans in the Science Lecture Hall at Lexington High School on June 15.
Chen’s lecture, titled “Opening of Opportunities – CRW & CAWW2,” was attended by more than 100 people. Read the full report

== Data records from another source follow ==
Density functional theory data (ωB97M-V with the def2-TZVPD basis set) for a molecular structure, C17H15N4PdSSe4Si.

The highest occupied orbital energy comes out at -0.0971 Ha. As for the relative energy (zero: lowest compared OMol25 entry of this formula, charge and spin): 0.0 kJ/mol. The value obtained for the frontier orbital gap is 3.25 eV. Its net charge is -1.

XYZ file:
```
43
Properties=species:S:1:pos:R:3:forces:R:3
N -1.0931 -0.3340 -0.6110 -0.24 -0.01 0.00
C -0.4630 -0.7359 -1.7047 -0.14 -0.01 -0.04
H 5.1387 2.1054 0.2643 0.00 0.02 0.10
Se -0.2925 2.7430 4.2190 -0.01 0.02 -0.07
H -3.0950 -1.7909 -3.5674 -0.02 -0.03 -0.07
C -3.1878 -0.9595 -1.5950 0.09 -0.02 -0.06
C -3.0681 0.0245 0.7068 0.21 -0.02 -0.13
C 5.3889 -1.1922 0.4426 -0.13 0.05 -0.08
H -4.5495 1.3095 3.9603 -0.03 0.00 0.03
C -5.2393 -0.5813 -0.2275 -0.36 -0.05 -0.03
C -2.4336 -0.4392 -0.5415 0.03 0.08 0.21
C 4.4582 -0.7725 -2.4395 0.05 0.06 0.14
C -4.1741 0.9266 3.0228 0.00 -0.07 -0.14
H 4.0481 -1.7811 -2.4517 -0.06 -0.11 0.00
H 4.9749 -2.1994 0.4153 -0.04 -0.10 0.00
N -6.5605 -0.7176 -0.2396 0.14 0.09 0.14
N -5.4938 -1.4947 -2.3165 0.21 0.02 -0.01
H 5.4769 -0.8206 -2.8246 0.10 0.00 -0.03
C -2.5225 -1.3847 -2.7468 0.24 0.08 0.12
Pd -0.1567 0.4428 1.1539 0.00 0.01 -0.20
C -1.1485 -1.2708 -2.7981 -0.11 0.02 0.09
S -6.9670 -1.3617 -1.6647 0.38 0.09 0.16
Si 4.4273 -0.0560 -0.6952 0.11 0.02 -0.01
H 4.6902 2.2927 -1.4229 -0.05 0.07 -0.07
H -0.5891 -1.5872 -3.6653 0.01 -0.02 -0.05
H -6.0860 0.3801 2.1909 -0.06 0.01 0.02
Se 3.0758 2.1199 2.5874 -0.05 0.02 0.06
C 1.6257 0.2425 0.4079 -0.15 0.01 0.25
H 0.6147 -0.6185 -1.6822 0.02 -0.02 -0.03
N -2.2497 0.5145 1.6686 -0.30 -0.02 -0.07
H 3.8719 -0.1588 -3.1215 -0.07 0.07 -0.06
Se 3.7203 3.1759 4.4862 0.01 -0.02 -0.02
C 2.7031 0.0656 -0.1303 0.06 -0.07 -0.15
C -2.7915 0.9556 2.7967 -0.23 -0.18 -0.21
C 5.2094 1.6440 -0.7192 -0.11 -0.11 -0.01
H -2.1007 1.3760 3.5254 0.06 0.05 0.07
C -4.4512 -0.0401 0.8633 -0.05 0.05 0.13
H 5.3278 -0.8356 1.4690 -0.02 0.08 0.09
H 6.4386 -1.2456 0.1560 0.11 0.00 -0.04
C -4.6257 -1.0301 -1.4259 -0.27 -0.12 -0.23
C -5.0149 0.4239 2.0581 0.27 0.06 0.07
Se 0.9037 1.0689 3.2027 0.31 0.02 0.15
H 6.2595 1.5962 -1.0061 0.11 -0.02 -0.03
```
Forces are in eV/Å.
== Back to the entry ==

The videos of the talk can be accessed through CAAL YouTube Channel: General Chen’s Talk

LexMedia Video: CAAL Dragon Marching Unit in Patriots Day Parade

LexMedia made this beautiful video (link below) for CAAL to share with the Community. Enjoy!


This year, Lexington’s Patriots’ Day Parade had a new addition. Among the American flags and colonial attire, a giant red dragon wove between floats, attracted audiences of all ages.

 “Here it comes, the dragon is interacting and sending blessings to the kids.”  Dragon is a symbol of power, strength, and good luck in Chinese culture. Operated by members of the Chinese American Association of Lexington (CAAL), dragon showcased Lexington’s vibrant and active Chinese community. 

 The Dragon team members have practiced for a couple of months to prepare its debut on this Patriots Day. The CAAL marching unit was led by an American flag, an elegant CAAL banner, and accompanied with drum and nice performance by CAAL Youth Music Ensemble. Following the dragon were the marchers holding small American flags, some wearing Chinese costumes.

[Here the piece breaks off for data records]
/*
# 1
DFT (ωB97M-V/def2-TZVPD) results for a cluster of 5 separate species, C16H22F2O15 in total.

The geometry in XYZ format:
```
55
Properties=species:S:1:pos:R:3:lowdin_charge:R:1
O 4.02 3.28 0.75 0.200
C 3.78 2.66 1.72 -0.533
O 4.14 2.97 2.98 0.079
C 3.95 1.80 3.78 -0.058
C 2.83 1.11 3.03 -0.319
F 1.62 1.65 3.43 0.057
O 3.06 1.49 1.72 0.118
H 4.87 1.22 3.80 0.141
H 3.67 2.07 4.79 0.141
H 2.81 0.04 3.20 0.159
O 1.85 1.74 -4.11 0.179
C 1.30 1.69 -3.06 -0.540
O 1.83 1.20 -1.93 0.079
C 0.76 1.05 -0.99 -0.040
C -0.18 2.15 -1.44 -0.295
F 0.22 3.36 -0.93 0.065
O 0.02 2.14 -2.83 0.130
H 0.29 0.08 -1.17 0.126
H 1.09 1.10 0.04 0.119
H -1.22 1.96 -1.21 0.143
C 3.55 -2.95 -3.77 -0.064
C 3.10 -1.80 -2.91 -0.196
O 1.68 -1.77 -2.78 0.024
C 1.01 -2.55 -1.95 -0.620
O 1.47 -3.38 -1.21 0.136
O -0.28 -2.24 -2.08 -0.012
C -1.23 -3.02 -1.37 -0.032
H 4.64 -2.93 -3.86 0.081
H 3.20 -2.83 -4.80 0.082
H 3.19 -3.91 -3.42 0.077
H 3.38 -0.84 -3.32 0.121
H 3.50 -1.90 -1.89 0.130
H -2.20 -2.66 -1.70 0.086
H -1.15 -2.86 -0.29 0.080
H -1.06 -4.08 -1.58 0.100
O 1.02 -0.90 1.57 0.164
C -0.10 -0.90 1.96 -0.566
O -0.87 -2.00 2.05 0.053
C -2.22 -1.63 2.40 -0.086
C -2.06 -0.19 2.88 -0.088
O -0.77 0.19 2.38 0.058
H -2.81 -1.69 1.49 0.114
H -2.57 -2.34 3.14 0.132
H -2.07 -0.11 3.97 0.133
H -2.81 0.45 2.42 0.111
O -2.81 -0.08 -0.89 0.171
C -3.70 0.57 -0.44 -0.568
O -4.55 0.16 0.53 0.046
C -5.42 1.24 0.88 -0.117
C -5.18 2.27 -0.20 -0.095
O -3.93 1.85 -0.78 0.067
H -6.47 0.94 0.92 0.133
H -5.20 1.56 1.90 0.128
H -5.14 3.29 0.19 0.135
H -5.92 2.23 -1.00 0.135
```

Summary:
Total charge: 0
Energy above the lowest of the compared OMol25 structures with the same formula, charge and spin: 0.000 eV
Lowest unoccupied orbital energy: 0.09 eV
Highest occupied orbital energy: -10.3 eV
SMILES: O=C1OC[C@@H](F)O1.O=C1OC[C@@H](F)O1.CCOC(=O)OC.O=C1OCCO1.O=C1OCCO1

# 2
DFT (ωB97M-V/def2-TZVPD) results for a cluster of 13 separate species, C14H54O20 in total.

The geometry in XYZ format:
```
88
Properties=species:S:1:pos:R:3:lowdin_charge:R:1
O -4.39 -9.50 -14.62 -0.059
H -4.25 -8.55 -14.45 0.074
H -4.36 -9.93 -13.74 0.028
O -4.96 -10.96 -11.61 -0.061
H -5.69 -11.34 -11.11 0.038
H -4.10 -11.31 -11.29 0.026
O -10.79 -15.15 -13.98 -0.053
H -10.88 -16.13 -13.92 0.081
H -11.54 -14.83 -13.49 -0.007
O -4.01 -14.48 -10.44 -0.063
H -3.04 -14.25 -10.57 0.059
H -4.01 -15.22 -9.83 0.039
O -8.47 -11.26 -11.38 -0.062
H -8.82 -12.16 -11.53 -0.025
H -8.80 -10.75 -12.14 0.030
O -7.16 -10.11 -14.92 -0.058
H -7.08 -9.77 -15.82 0.066
H -6.29 -9.81 -14.62 0.017
C -10.34 -11.60 -14.99 -0.211
C -11.65 -11.44 -15.81 -0.252
O -11.59 -10.25 -16.57 -0.071
O -9.20 -11.63 -15.90 -0.095
H -10.30 -12.48 -14.32 0.095
H -10.29 -10.70 -14.34 0.123
H -12.51 -11.40 -15.19 0.100
H -11.79 -12.30 -16.49 0.123
H -10.64 -10.22 -16.81 0.083
H -8.52 -11.11 -15.44 0.013
C -5.10 -17.33 -12.73 -0.241
C -5.51 -18.11 -13.91 -0.294
O -6.19 -17.43 -14.90 -0.037
O -4.30 -16.24 -13.19 -0.084
H -4.58 -18.05 -12.09 0.127
H -5.93 -16.93 -12.14 0.101
*/

 Lexington is a particularly open and welcoming place. With support from the town and active participation from the community, Chinese Americans have increased their representation in town government and school affairs. We are delighted and proud to be part of the social fabric here and an integral part of the increasingly multicultural Lexington community.

CAAL Seminar – The Journey to College


On 3/30/2019, Sharon Olofsson, an educational consultant in Lexington, shared with more than 40 CAAL families the latest trends in college admission and how to plan for it. Sharon spoke to many practical aspects of college planning, at the same time, recommended that parents and students look beyond the rankings and ivy leagues. Instead, use the college planning process to figure out where the kid’s passion lies and ultimately, how to be happy 10 years down the road professionally.  Here is the link of the report of her talk.

Cary Memorial Library Foundation Chosen as Recipient of 2019 CAAL Community Building Award/Grant Program

CAAL has been very active in charitable efforts such as the CAAL for Cary campaign with the goal of giving back to support our town and building stronger community. In 2018 CAAL launched a new community building award/grant program to support local organizations that are engaged in serving the community. The METCO College Scholarship Fund of Lexington was the inaugural recipient and the donation was presented at the Chinese New Year Celebration Banquet on February 10, 2018. This year as our beloved Cary Library celebrates its 150th  anniversary, we are pleased to announce that Cary Memorial Library Foundation is the recipient of the 2019 CAAL Community Building Award/Grant Program. With contributions from CAAL and tens of generous Chinese American families, CAAL has made a $5500+ donation to become a Publisher level sponsor to the Cary Library’s 150th  Anniversary Gala and is sending a CAAL delegation to the Gala. Happy Birthday, Cary Library! 

2019 [世界日报]勒星頓華洋 歡度春晚慶新年

2019年勒星頓華人春晚10日在該鎮張燈結綵的Cary廳舉行,七八百名華洋人士欣賞豐富多元的精彩節目,歡喜過新年;主辦單位勒星頓華人協會(CAAL)會長王華帶領與會的麻州州眾議員、勒鎮領導、學校總監等以中文「過年好! 」拜年,贏來喝采與歡笑。

